Input =
********
Molecular formula: C24H56N7O11
Method: DFT, ωB97M-V/def2-TZVPD

XYZ file:
```
98
Properties=species:S:1:pos:R:3:forces:R:3
O -25.684731 -5.134841 9.889871 0.2 -0.8 -0.1
O -23.239225 -6.487587 10.861617 -0.5 0.0 0.1
O -21.964633 -3.287177 8.238470 0.1 0.4 -0.2
O -26.649713 1.409491 9.591130 -1.0 0.5 -0.3
O -26.303705 -3.501616 6.268724 -0.3 0.5 -0.9
O -25.281840 0.314703 10.996436 0.9 -0.2 1.1
O -19.165083 1.850096 6.458066 -0.1 0.2 0.0
O -19.900043 -3.470985 3.856166 0.5 -0.3 -0.4
O -24.412923 1.661925 9.622387 0.6 0.3 -0.1
O -17.184814 -5.583445 8.532811 -0.4 0.7 0.0
O -19.792065 -1.910210 14.623570 -0.4 0.0 0.7
N -20.292294 -1.378471 4.554704 -1.4 0.4 0.1
N -26.587708 -4.530235 11.861863 0.0 -0.4 0.3
N -25.536630 -3.363419 4.142256 -0.9 -0.5 0.8
N -17.980597 -0.898540 13.747542 -0.6 0.2 -0.3
N -21.117967 -5.713161 10.910562 0.2 -0.4 0.8
N -19.497579 1.316796 8.625959 0.1 0.6 0.6
N -19.322055 -4.823423 8.440601 1.5 0.9 0.2
C -28.011222 -4.594709 9.879402 0.1 0.4 1.2
C -18.903339 1.149011 7.421525 0.1 0.1 0.1
C -19.215315 -1.488066 13.650387 0.7 -0.8 -0.3
C -22.251142 -2.338390 9.205810 0.9 -1.7 -0.6
C -26.660311 -4.858811 10.533845 -0.3 1.4 -0.2
C -24.417739 2.367663 8.398486 0.2 0.8 -0.5
C -26.017682 -2.802791 5.307967 0.4 -0.3 0.9
C -22.139115 -3.000835 4.460762 -0.8 0.5 0.4
C -17.909431 0.020158 7.326316 -0.6 0.2 -0.2
C -22.114015 -0.889732 8.730783 -0.5 0.4 1.0
C -23.589483 -2.616325 9.911014 -0.1 1.0 0.1
C -20.697357 -2.644506 4.251603 0.5 -0.2 0.6
C -25.574009 1.178262 10.047788 0.3 -1.0 -0.3
C -17.979458 -4.635763 8.481535 0.6 -1.1 -0.1
C -21.880954 -7.210305 12.688054 0.6 -0.1 -0.5
C -25.380179 -4.759158 12.629892 -0.3 0.4 0.4
C -22.162578 -6.439316 11.407262 0.0 0.1 -0.5
C -17.410897 -0.545198 15.022968 0.9 0.5 -0.2
C -26.266108 -0.446194 11.673182 -0.6 0.3 0.3
C -19.731143 -1.656423 12.246628 -0.1 1.2 -0.4
C -21.183632 -0.301356 5.006187 1.0 0.0 -0.3
C -20.432303 2.383006 8.931007 -1.1 -0.9 -0.3
C -17.497549 -3.206571 8.416631 -1.3 0.2 -0.4
C -26.090974 -1.296879 5.342816 0.5 0.1 -1.1
H -20.222952 -5.917443 11.316474 0.2 0.4 -0.2
H -25.006433 -5.763828 12.463303 0.2 0.1 -0.2
H -27.006126 -0.915379 5.779080 0.0 -0.1 0.3
H -18.348735 -0.700384 6.634647 0.1 -0.1 0.1
H -21.757178 -6.511331 13.514187 -0.1 -0.1 0.1
H -16.978678 -1.415805 15.512113 -0.3 0.0 0.3
H -17.005303 0.417413 6.872213 0.2 -0.1 0.2
H -22.835674 -0.554484 7.974371 0.0 -0.5 -0.2
H -22.731053 -2.554725 3.650646 0.0 -0.2 0.1
H -25.197298 -0.933385 5.851284 -0.2 0.0 0.4
H -25.642482 -4.656573 13.686422 0.0 0.0 0.0
H -24.909746 -2.898301 3.516345 0.0 0.1 0.0
H -23.903943 -1.808275 10.596051 0.4 -0.1 0.1
H -22.351284 -0.248223 9.599021 0.4 0.1 -0.1
H -16.508397 -3.048745 8.822904 0.0 -0.1 0.3
H -27.861859 -3.694598 9.286465 -0.1 -0.3 -0.6
H -28.348451 -5.473245 9.344661 0.0 0.1 -0.4
H -24.958106 3.314207 8.470938 -0.3 -0.2 0.0
H -22.550759 -2.654736 5.414497 0.3 0.3 0.0
H -20.798222 -1.848760 12.243985 0.0 -0.2 0.1
H -22.674358 -7.929310 12.848911 -0.2 0.1 0.2
H -20.732619 0.628844 4.656142 -0.2 0.1 0.2
H -20.061488 3.380213 8.715827 0.1 0.0 0.1
H -21.442614 -2.555470 9.957744 -0.3 1.0 0.5
H -19.579964 -0.680853 11.759294 -0.2 -0.2 -0.2
H -22.295214 -4.072202 4.510510 0.3 -0.1 -0.4
H -16.573584 0.135346 14.835105 0.0 -0.1 -0.1
H -17.677120 -0.414934 12.921544 0.2 0.0 0.1
H -19.174081 0.836144 9.444447 0.2 -0.4 -0.3
H -27.198155 0.119783 11.719788 -0.2 -0.3 -0.4
H -23.389800 2.631339 8.157636 0.1 -0.2 0.3
H -23.503378 -3.541227 10.474546 -0.3 -0.2 -0.3
H -26.010902 -0.917101 4.315814 -0.2 0.1 0.2
H -28.754406 -4.314967 10.636761 -0.1 -0.3 -0.1
H -24.401911 -2.636652 9.180591 0.1 -0.6 -0.2
H -19.950645 -4.013188 8.370057 -0.9 -0.6 -0.3
H -18.085638 0.011236 15.671187 -0.3 -0.4 0.1
H -21.233735 -0.272831 6.087152 -0.2 0.0 0.3
H -21.102745 -0.688418 8.384830 0.0 0.0 -0.1
H -17.767442 -0.460318 8.287908 0.4 -0.1 0.0
H -20.782038 2.238586 9.954658 0.5 0.4 0.2
H -19.222032 -2.380676 11.614011 0.1 -0.2 0.4
H -19.317859 -1.158703 4.483695 0.2 -0.2 -0.2
********

Exercise =
Print the notes further above verbatim, please.

Completed =
Molecular formula: C24H56N7O11
Method: DFT, ωB97M-V/def2-TZVPD

XYZ file:
```
98
Properties=species:S:1:pos:R:3:forces:R:3
O -25.684731 -5.134841 9.889871 0.2 -0.8 -0.1
O -23.239225 -6.487587 10.861617 -0.5 0.0 0.1
O -21.964633 -3.287177 8.238470 0.1 0.4 -0.2
O -26.649713 1.409491 9.591130 -1.0 0.5 -0.3
O -26.303705 -3.501616 6.268724 -0.3 0.5 -0.9
O -25.281840 0.314703 10.996436 0.9 -0.2 1.1
O -19.165083 1.850096 6.458066 -0.1 0.2 0.0
O -19.900043 -3.470985 3.856166 0.5 -0.3 -0.4
O -24.412923 1.661925 9.622387 0.6 0.3 -0.1
O -17.184814 -5.583445 8.532811 -0.4 0.7 0.0
O -19.792065 -1.910210 14.623570 -0.4 0.0 0.7
N -20.292294 -1.378471 4.554704 -1.4 0.4 0.1
N -26.587708 -4.530235 11.861863 0.0 -0.4 0.3
N -25.536630 -3.363419 4.142256 -0.9 -0.5 0.8
N -17.980597 -0.898540 13.747542 -0.6 0.2 -0.3
N -21.117967 -5.713161 10.910562 0.2 -0.4 0.8
N -19.497579 1.316796 8.625959 0.1 0.6 0.6
N -19.322055 -4.823423 8.440601 1.5 0.9 0.2
C -28.011222 -4.594709 9.879402 0.1 0.4 1.2
C -18.903339 1.149011 7.421525 0.1 0.1 0.1
C -19.215315 -1.488066 13.650387 0.7 -0.8 -0.3
C -22.251142 -2.338390 9.205810 0.9 -1.7 -0.6
C -26.660311 -4.858811 10.533845 -0.3 1.4 -0.2
C -24.417739 2.367663 8.398486 0.2 0.8 -0.5
C -26.017682 -2.802791 5.307967 0.4 -0.3 0.9
C -22.139115 -3.000835 4.460762 -0.8 0.5 0.4
C -17.909431 0.020158 7.326316 -0.6 0.2 -0.2
C -22.114015 -0.889732 8.730783 -0.5 0.4 1.0
C -23.589483 -2.616325 9.911014 -0.1 1.0 0.1
C -20.697357 -2.644506 4.251603 0.5 -0.2 0.6
C -25.574009 1.178262 10.047788 0.3 -1.0 -0.3
C -17.979458 -4.635763 8.481535 0.6 -1.1 -0.1
C -21.880954 -7.210305 12.688054 0.6 -0.1 -0.5
C -25.380179 -4.759158 12.629892 -0.3 0.4 0.4
C -22.162578 -6.439316 11.407262 0.0 0.1 -0.5
C -17.410897 -0.545198 15.022968 0.9 0.5 -0.2
C -26.266108 -0.446194 11.673182 -0.6 0.3 0.3
C -19.731143 -1.656423 12.246628 -0.1 1.2 -0.4
C -21.183632 -0.301356 5.006187 1.0 0.0 -0.3
C -20.432303 2.383006 8.931007 -1.1 -0.9 -0.3
C -17.497549 -3.206571 8.416631 -1.3 0.2 -0.4
C -26.090974 -1.296879 5.342816 0.5 0.1 -1.1
H -20.222952 -5.917443 11.316474 0.2 0.4 -0.2
H -25.006433 -5.763828 12.463303 0.2 0.1 -0.2
H -27.006126 -0.915379 5.779080 0.0 -0.1 0.3
H -18.348735 -0.700384 6.634647 0.1 -0.1 0.1
H -21.757178 -6.511331 13.514187 -0.1 -0.1 0.1
H -16.978678 -1.415805 15.512113 -0.3 0.0 0.3
H -17.005303 0.417413 6.872213 0.2 -0.1 0.2
H -22.835674 -0.554484 7.974371 0.0 -0.5 -0.2
H -22.731053 -2.554725 3.650646 0.0 -0.2 0.1
H -25.197298 -0.933385 5.851284 -0.2 0.0 0.4
H -25.642482 -4.656573 13.686422 0.0 0.0 0.0
H -24.909746 -2.898301 3.516345 0.0 0.1 0.0
H -23.903943 -1.808275 10.596051 0.4 -0.1 0.1
H -22.351284 -0.248223 9.599021 0.4 0.1 -0.1
H -16.508397 -3.048745 8.822904 0.0 -0.1 0.3
H -27.861859 -3.694598 9.286465 -0.1 -0.3 -0.6
H -28.348451 -5.473245 9.344661 0.0 0.1 -0.4
H -24.958106 3.314207 8.470938 -0.3 -0.2 0.0
H -22.550759 -2.654736 5.414497 0.3 0.3 0.0
H -20.798222 -1.848760 12.243985 0.0 -0.2 0.1
H -22.674358 -7.929310 12.848911 -0.2 0.1 0.2
H -20.732619 0.628844 4.656142 -0.2 0.1 0.2
H -20.061488 3.380213 8.715827 0.1 0.0 0.1
H -21.442614 -2.555470 9.957744 -0.3 1.0 0.5
H -19.579964 -0.680853 11.759294 -0.2 -0.2 -0.2
H -22.295214 -4.072202 4.510510 0.3 -0.1 -0.4
H -16.573584 0.135346 14.835105 0.0 -0.1 -0.1
H -17.677120 -0.414934 12.921544 0.2 0.0 0.1
H -19.174081 0.836144 9.444447 0.2 -0.4 -0.3
H -27.198155 0.119783 11.719788 -0.2 -0.3 -0.4
H -23.389800 2.631339 8.157636 0.1 -0.2 0.3
H -23.503378 -3.541227 10.474546 -0.3 -0.2 -0.3
H -26.010902 -0.917101 4.315814 -0.2 0.1 0.2
H -28.754406 -4.314967 10.636761 -0.1 -0.3 -0.1
H -24.401911 -2.636652 9.180591 0.1 -0.6 -0.2
H -19.950645 -4.013188 8.370057 -0.9 -0.6 -0.3
H -18.085638 0.011236 15.671187 -0.3 -0.4 0.1
H -21.233735 -0.272831 6.087152 -0.2 0.0 0.3
H -21.102745 -0.688418 8.384830 0.0 0.0 -0.1
H -17.767442 -0.460318 8.287908 0.4 -0.1 0.0
H -20.782038 2.238586 9.954658 0.5 0.4 0.2
H -19.222032 -2.380676 11.614011 0.1 -0.2 0.4
H -19.317859 -1.158703 4.483695 0.2 -0.2 -0.2